## Excerpt
/*
Theoretical X-ray diffraction stick pattern of PuMg2H8Ir for copper Kα, from a structure optimized by DFT (GGA-PBE).

Structure:
```
data_PuMg2H8Ir
_space_group_name_H-M_alt 'P -3 m 1'
_space_group_IT_number 164
_space_group_name_Hall '-P 3 2"'
_cell_length_a 4.4279
_cell_length_b 4.4279
_cell_length_c 6.7008
_cell_angle_alpha 90.00
_cell_angle_beta 90.00
_cell_angle_gamma 120.00
loop_
_atom_site_label
_atom_site_fract_x
_atom_site_fract_y
_atom_site_fract_z
_atom_site_occupancy
Pu1 0.0000 0.0000 0.0000 1
Mg1 0.3333 0.6667 0.3422 1
H1 0.1680 0.3360 0.6689 1
H2 0.3333 0.6667 0.0569 1
Ir1 0.0000 0.0000 0.5000 1
```

Principal peaks in the range 2θ = 5–70°, in order of rising 2θ:
2θ 23.20, I = 100, hkl 1 0 0; 2θ 26.61, I = 24, hkl 0 0 2; 2θ 26.79, I = 4, hkl 0 1 1; 2θ 35.58, I = 81, hkl 1 0 2; 2θ 40.76, I = 34, hkl 1 1 0; 2θ 47.42, I = 15, hkl 2 0 0; 2θ 49.34, I = 29, hkl 1 1 2; 2θ 55.20, I = 24, hkl 0 2 2; 2θ 60.29, I = 19, hkl 0 1 4; 2θ 64.27, I = 13, hkl 2 1 0


Theoretical X-ray diffraction stick pattern of EuGdHo2 for copper Kα, from a structure optimized by DFT (GGA-PBE).

Structure:
```
data_EuGdHo2
_space_group_name_H-M_alt 'P 4/m m m'
_space_group_IT_number 123
_space_group_name_Hall '-P 4 2'
_cell_length_a 5.1020
_cell_length_b 5.1020
_cell_length_c 5.0580
_cell_angle_alpha 90.00
_cell_angle_beta 90.00
_cell_angle_gamma 90.00
loop_
_atom_site_label
_atom_site_fract_x
_atom_site_fract_y
_atom_site_fract_z
_atom_site_occupancy
Eu1 0.0000 0.0000 0.0000 1
Gd1 0.5000 0.5000 0.0000 1
Ho1 0.0000 0.5000 0.5000 1
```

Principal peaks in the range 2θ = 5–70°, in order of rising 2θ:
2θ 30.43, I = 100, hkl 1 1 1; 2θ 35.18, I = 34, hkl 2 0 0; 2θ 35.50, I = 17, hkl 0 0 2; 2θ 50.60, I = 12, hkl 2 2 0; 2θ 50.84, I = 24, hkl 2 0 2; 2θ 60.20, I = 29, hkl 3 1 1; 2θ 60.63, I = 14, hkl 1 1 3; 2θ 63.33, I = 12, hkl 2 2 2


Theoretical X-ray diffraction stick pattern of Tb3SbSe6 for copper Kα, from a structure optimized by DFT (GGA-PBE).

Structure:
```
data_Tb3SbSe6
_space_group_name_H-M_alt 'P 1 21/m 1'
_space_group_IT_number 11
_space_group_name_Hall '-P 2yb'
_cell_length_a 11.9153
_cell_length_b 4.1592
_cell_length_c 11.9508
_cell_angle_alpha 90.00
_cell_angle_beta 109.54
_cell_angle_gamma 90.00
loop_
_atom_site_label
_atom_site_fract_x
_atom_site_fract_y
_atom_site_fract_z
*/

## Job
Next, find the line above that holds "_cell_angle_beta 109.54", then write out that line and all lines after it there.

## Outcome
_cell_angle_beta 109.54
_cell_angle_gamma 90.00
loop_
_atom_site_label
_atom_site_fract_x
_atom_site_fract_y
_atom_site_fract_z